What and for whom


The Environmental Health Atlas offers information about the quality of the Dutch living environment. It focuses on environmental themes which affect our physical and mental health. The issues include air quality, water quality and safety. The information is available as text, but primarily also in the form of maps. You can easily select maps yourself and often zoom in to neighbourhood level. Sometimes you can even view the situation in your own street. The conveniently arranged background information also offers the possibility to investigate the issues in as much detail as you wish.

Why and by whom

The Ministry of Infrastructure and Water Management commissioned the Environmental Healt Atlas. Rijkswaterstaat and RIVM are carrying out the work. They are doing so in cooperation with the provincial governments, municipalities and other policy and knowledge institutions. Together they are making sure that the maps are convenient to use and are accompanied by an explanation. A number of maps have been provided by RIVM or Rijkswaterstaat. In many cases the maps are owned by other organisations. Those owners are also referred to as the 'source owner'. The source owner keeps an eye on the quality of his own map(s).

The Atlas will ensure that plenty of new maps and informative material will become available in the coming years. This will be the result partially of the ever-increasing amount of available data, but also because user groups request it.


The initial ideas for an Evironmental Health Atlas came about after the Aarhus Convention. This European treaty came into effect in 2001 and obliges the government to provide accessible information about the environment. This was followed not much later in the Netherlands by the developments relating to the Environment and Planning Act. This newly created law brings together several pieces of legislation and hundreds of regulations. All of these relate to space, living, infrastructure, the environment, nature and water. This Environmental and Planning Act is expected to become law in 2019. This will provide a single law which takes account of all kinds of different activities, ranging from new activities to activities to be extended or expanded. In that way the Environmental and Planning Act will become an umbrella law, just like this Atlas which is also umbrella in nature.

Unique strength

The website is intended to be used by anyone and everyone and contains a wealth of information. It will be of interest to policymakers, initiators, companies, interest groups and citizens. It offers knowledge and tips for any interested party. The Environmental Health Atlas can play a role in the initial phase of many of the possible activities. This applies both to initiators as well as to residents and other parties involved. If you have any questions about spatial possibilities, opportunities and limitations, many of these can be answered by the Atlas. For example by displaying zoning plans, flood risks, particulate matter maps and groundwater protection areas.

# Crystal structures, as found in the file
/*
Entry 1:
First-principles (GGA-PBE) data for a relaxed structure of MgCuP4Ru2O14, as listed in the Materials Project.

Calculated values
formation energy = -2.114 eV per atom
E = -152.07 eV per cell
MP2020-corrected energy = -7.3496 eV per atom
total magnetic moment = 1.06 μB/f.u.

Unit cell a=5.0552 b=6.8290 c=8.4034 alpha=92.11 beta=91.61 gamma=107.65
Closest atoms and distances in Å follow each position.
Fractional coordinates of all 22 atoms:
Mg (0.0000, 0.0000, 0.0000)  4 O 2.00-2.16
Cu (0.5360, 0.7959, 0.6634)  2 O 1.93-2.00
P (0.1673, 0.0417, 0.3732)  4 O 1.53-1.62
P (0.5311, 0.1397, 0.9107)  4 O 1.52-1.59
P (0.5722, 0.4486, 0.4495)  4 O 1.50-1.61
P (0.9629, 0.5467, 0.9897)  4 O 1.51-1.66
Ru (0.0500, 0.2964, 0.6749)  6 O 2.01-2.25
Ru (0.5491, 0.7910, 0.1875)  6 O 2.05-2.17
O (0.0511, 0.5498, 0.8172)  1 P 1.53
O (0.0516, 0.0389, 0.5401)  1 P 1.53
O (0.1827, 0.5645, 0.1197)  1 P 1.51
O (0.2868, 0.2075, 0.8511)  1 P 1.52
O (0.3458, 0.8972, 0.3640)  1 P 1.53
O (0.3521, 0.2736, 0.3382)  2 P 1.61-1.62
O (0.3921, 0.5160, 0.5793)  1 P 1.58
O (0.3943, 0.9700, 0.0247)  1 P 1.54
O (0.7017, 0.6245, 0.3435)  1 P 1.52
O (0.7106, 0.0584, 0.7908)  1 P 1.57
O (0.7527, 0.3129, 0.0178)  2 P 1.59-1.66
O (0.7775, 0.3500, 0.5160)  1 P 1.50
O (0.7866, 0.6974, 0.0049)  1 P 1.56
O (0.9434, 0.0132, 0.2347)  1 P 1.57

Entry 2:
First-principles (GGA-PBE) data for a relaxed structure of MgCuP4Ru2O14, as listed in the Materials Project.

Calculated values
formation energy = -2.089 eV per atom
E = -151.52 eV per cell
MP2020-corrected energy = -7.3242 eV per atom
total magnetic moment = 1.00 μB/f.u.

Unit cell a=5.0545 b=6.8217 c=8.7015 alpha=90.81 beta=93.25 gamma=106.13
Closest atoms and distances in Å follow each position.
Fractional coordinates of all 22 atoms:
Mg (0.0000, 0.0000, 0.0000)  4 O 1.94-2.15
Cu (0.5377, 0.0847, 0.4378)  2 O 1.92-1.95
P (0.1464, 0.3532, 0.1370)  4 O 1.53-1.60
P (0.5249, 0.4194, 0.6566)  4 O 1.51-1.62
P (0.5443, 0.7408, 0.2209)  4 O 1.50-1.62
P (0.9290, 0.8134, 0.7348)  4 O 1.52-1.61
Ru (0.0366, 0.5815, 0.4389)  6 O 2.02-2.20
Ru (0.5284, 0.0866, 0.9336)  6 O 2.06-2.17
O (0.0069, 0.8292, 0.5678)  1 P 1.52
O (0.0643, 0.3409, 0.3039)  1 P 1.53
O (0.1715, 0.8417, 0.8610)  1 P 1.57
O (0.3212, 0.5822, 0.1058)  2 P 1.60-1.62
O (0.3238, 0.2011, 0.1134)  1 P 1.57
O (0.3237, 0.5293, 0.5920)  1 P 1.51
O (0.3758, 0.8147, 0.3432)  1 P 1.56
O (0.3953, 0.2469, 0.7605)  1 P 1.52
O (0.6690, 0.9153, 0.1133)  1 P 1.54
O (0.6983, 0.3525, 0.5303)  1 P 1.58
O (0.7526, 0.5842, 0.7659)  2 P 1.61-1.62
O (0.7570, 0.6389, 0.2784)  1 P 1.50
O (0.7687, 0.9636, 0.7817)  1 P 1.54
O (0.9130, 0.2989, 0.0106)  1 P 1.53

Entry 3:
First-principles (GGA-PBE) data for a relaxed structure of MgCuP4Ru2O14, as listed in the Materials Project.

Calculated values
formation energy = -2.132 eV per atom
E = -152.46 eV per cell
MP2020-corrected energy = -7.3674 eV per atom
total magnetic moment = 1.00 μB/f.u.

Unit cell a=4.9918 b=6.8158 c=8.5712 alpha=93.83 beta=94.23 gamma=105.40
*/

A unique feature of the Atlas is that the various maps can be combined. For example, maps can be placed on top of each other to provide a complete picture. The fact that the data is continuously managed by the source owner means that the information displayed is up-to-date. It is easy to share maps through a permalink or download a picture of the map. You can display more or fewer details by zooming in and out. You can compare and discuss material on a closed forum.

The Atlas is still being developed. Comments and/or suggestions on how to make improvements are more than welcome. Please go to Get involved and post a response. You can mail technical questions to Environmental Health Atlas or send them via Contact.